St. Thomas the Apostle
Thomas the Apostle John 20:24-29
It is Caravaggio, the seventeenth-century Italian artist, who captures most vividly the moment when Thomas makes his declaration of faith in the risen Christ. The painting entitled ‘The Incredulity of St Thomas’ shows that Jesus has loosened his garment. In the dim light of the spluttering candle, he grips Thomas by the wrist. Thomas extends a distinctly grubby forefinger which Jesus guides into the loose flesh of the gaping wound in his side. Thomas' brow is deeply furrowed with doubt and incomprehension. His eyes follow the direction of his extended forefinger. This is the moment of decision. Can he believe what he sees? He can, and he does: "My Lord and my God!"
It is a life-changing moment for Thomas. It remains a crucial moment for the many who would come after him in the course of time, "who have not seen and yet have come to believe".
Because of his initial reluctance to believe that Jesus had risen, Thomas has given his name to all who find it difficult to believe, or who experience moments of doubt. Yet Thomas was one of the original twelve whom Jesus sent out to proclaim the Gospel with very little to sustain them. When there were threats on Jesus' life, it was Thomas who encouraged the others: "Let us also go, that we may die with him." So we need to look again at the circumstances surrounding his declaration of faith.
As we are presented with Thomas' disbelief, we have to ask, "Why should he have believed?" We know very little about the disciples. We cannot know what went on between them, or what bound them together. We do know conflicts existed, as over which of them would be the most important. So when the others told Thomas they had seen the risen Jesus, it could have been that they were having a joke, in the worst possible taste, at his expense. Nor could he know they had already seen Jesus' wounds for themselves.
But the appearance of the risen Jesus a week later confirmed that the disciples had not been joking. They had been genuine, and now Jesus was actually there amongst them again. Having greeted them all with those wonderful words of comfort "Peace be with you", it was to Thomas that he turned. "Put your finger here and,see my-hands. Reach out your hand and put it in my side."
This is the scene Caravaggio captured in his painting. The setting is commonplace, simply the house where the disciples met and locked the doors for fear of their enemies. The artist gives us no shining lights or angels waiting at the edges of his canvas. Yet it is a profoundly religious moment, lit by Thomas' declaration of faith. He is confronted by Jesus in person, a different person, yet essentially the same, who addresses him directly: "Do not doubt but believe."
- - -
The following is a calculated X-ray diffraction stick pattern of Rb4SbO5. It was derived from a DFT-relaxed cell (GGA-PBE, Alexandria), using Cu Kα, 1.54184 Å.
Intensities are scaled so that the largest is 100.

Peak list (10 most intense, 2θ = 15–90°, in order of falling intensity)
d/Å, I (rel.), hkl
3.234, 100, 2 1 1
2.693, 45, 1 3 0
2.022, 34, 1 3 2
3.064, 33, 0 0 2
1.641, 32, 5 0 1
1.800, 21, 2 1 3
1.308, 15, 5 0 3
1.617, 14, 4 2 2
1.904, 14, 4 2 0
1.121, 8, 5 5 2

Structure:
```
data_Rb4SbO5
_chemical_formula_sum 'Rb8 Sb2 O10'
_space_group_name_H-M_alt 'I 4'
_space_group_IT_number 79
_space_group_name_Hall 'I 4'
_cell_length_a 8.515
_cell_length_b 8.515
_cell_length_c 6.127
_cell_angle_alpha 90.00
_cell_angle_beta 90.00
_cell_angle_gamma 90.00
loop_
_atom_site_label
_atom_site_type_symbol
_atom_site_fract_x
_atom_site_fract_y
_atom_site_fract_z
Rb1 Rb 0.091 0.293 0.000
Sb1 Sb 0.000 0.000 0.467
O1 O 0.000 0.000 0.152
O2 O 0.069 0.217 0.541
```

----------

1.
The following is a simulated powder diffractogram of Sc5Hg3. It was derived from DFT lattice parameters and positions (PBE), using a wavelength of 1.5418 Å.
Neutral-atom scattering factors, no anomalous dispersion.

Structural model:
Lattice parameters (Å, degrees): 14.809 14.809 5.608 90.00 90.00 120.00
Fractional positions:
Sc (0.001, 0.334, 0.000)
Sc (0.001, 0.667, 0.000)
Sc (0.079, 0.158, 0.245)
Sc (0.079, 0.921, 0.245)
Sc (0.158, 0.079, 0.745)
Sc (0.176, 0.588, 0.250)
Sc (0.254, 0.509, 0.750)
Sc (0.254, 0.746, 0.750)
Sc (0.333, 0.334, 0.000)
Sc (0.333, 0.999, 0.000)
Sc (0.334, 0.001, 0.500)
Sc (0.334, 0.333, 0.500)
Sc (0.412, 0.588, 0.250)
Sc (0.412, 0.824, 0.250)
Sc (0.491, 0.746, 0.750)
Sc (0.509, 0.254, 0.250)
Sc (0.588, 0.176, 0.750)
Sc (0.588, 0.412, 0.750)
Sc (0.666, 0.667, 0.000)
Sc (0.666, 0.999, 0.000)
Sc (0.667, 0.001, 0.500)
Sc (0.667, 0.666, 0.500)
Sc (0.746, 0.254, 0.250)
Sc (0.746, 0.491, 0.250)
Sc (0.824, 0.412, 0.750)
Sc (0.842, 0.921, 0.245)
Sc (0.921, 0.079, 0.745)
Sc (0.921, 0.842, 0.745)
Sc (0.999, 0.333, 0.500)
Sc (0.999, 0.666, 0.500)
Hg (0.069, 0.534, 0.750)
Hg (0.132, 0.265, 0.746)
Hg (0.132, 0.868, 0.746)
Hg (0.201, 0.402, 0.253)
Hg (0.201, 0.799, 0.253)
Hg (0.265, 0.132, 0.246)
Hg (0.402, 0.201, 0.753)
Hg (0.466, 0.534, 0.750)
Hg (0.466, 0.931, 0.750)
Hg (0.534, 0.069, 0.250)
Hg (0.534, 0.466, 0.250)
Hg (0.598, 0.799, 0.253)
Hg (0.735, 0.868, 0.746)
Hg (0.799, 0.201, 0.753)
Hg (0.799, 0.598, 0.753)
Hg (0.868, 0.132, 0.246)
Hg (0.868, 0.735, 0.246)
Hg (0.931, 0.466, 0.250)

Peak list (6 most intense, 2θ from 10° to 80°, low angle first)
| 2θ (°) | I_rel |
| --- | --- |
| 26.21 | 1000 |
| 31.93 | 432 |
| 35.86 | 923 |
| 36.40 | 369 |
| 38.39 | 465 |
| 47.13 | 548 |

=====

2.
The following is a simulated powder diffractogram of Dy2Ho2CI2Cl3. It was derived from DFT lattice parameters and positions (PBE), using a wavelength of 1.5418 Å.
Neutral-atom scattering factors, no anomalous dispersion.

Structural model:
- - -
In that moment Thomas has to make up his mind, reach his decision. The evidence of the resurrection is there before his eyes. There is only one conclusion he can come to: "My Lord and my God!" Thomas is declaring his faith in the risen Christ, acknowledging Christ's claim upon his life from now on, and committing the whole of his life to proclaiming the Gospel of the dying and rising of Jesus. Ancient tradition has it that this took him as far afield as India, where he was martyred.
Nevertheless, Thomas' negative reputation lives on. His name stands for doubt, rather than faith. This means that we do Thomas a grave disservice when we take his name in vain. He has left an abiding and positive legacy to the Church, to all who would seek to follow the risen Christ. In many ways he stands for all of us, represents all of us. Many of us have followed his pattern. We have experienced the same struggle to believe, to come to terms with the Christian faith, to make a commitment to the risen Lord.
There is ample evidence in the Bible of the many who have heard God's call, and felt that it could not be so. How could God be calling them? For ourselves, we may also feel, or have felt, that it must at best be a mistake; at worst, a joke in poor taste. Like Thomas, we have to weigh the evidence, reach our own conclusion, make our own decision. Only then can we make our personal declaration of faith, and all that it implies for our belief, and our commitment to service in the name of the risen Lord. Like Thomas, we have to be able to say, at some stage, and in our own way, "My Lord and my God!"
Let us pray we can say that this side of heaven and not when we are facing the judgement throne of God.